### File
~~~
C5H11NOS | ωB97M-V/def2-TZVPD

Energy relative to the best compared isomer or geometry (same formula, charge and spin): 114.1 kcal/mol
DFT total energy: -19732.14562 eV
HOMO: -8.7 eV
Kohn-Sham gap: 8.5 eV

The geometry in ORCA input format:
```
! RIJCOSX wB97M-V def2-TZVPD def2/J DEFGRID3
* xyz 0 1
C -2.72 -0.39 -0.63
C -0.65 0.26 -0.69
C 0.92 0.23 -0.63
C 1.65 0.71 0.70
C 1.37 -0.42 1.64
H -2.60 0.49 0.30
H -3.62 -1.13 -0.50
H -3.16 0.22 -1.59
H -1.24 -1.36 -1.77
H -0.81 0.63 0.34
H -0.86 1.00 -1.49
H 0.96 1.57 0.96
H 2.11 -1.22 1.35
H 1.41 -0.05 2.78
H 0.24 -0.87 1.31
H 3.48 0.26 0.12
N -1.39 -1.00 -0.81
O 3.03 1.21 0.52
S 1.87 -0.14 -1.91
*
```

natural (NBO) atomic charge list, values in e, 5 entries:
1. C -0.444
2. C -0.323
3. C -0.039
4. C -0.004
5. C -0.644



C5H11NOS2 | ωB97M-V/def2-TZVPD

Energy relative to the best compared isomer or geometry (same formula, charge and spin): 98.6 kcal/mol
DFT total energy: -30567.94483 eV
HOMO: -8.5 eV
Kohn-Sham gap: 9.1 eV

The geometry in ORCA input format:
```
! RIJCOSX wB97M-V def2-TZVPD def2/J DEFGRID3
* xyz 0 1
C -2.01 0.74 0.92
C -3.36 0.94 0.31
C 3.67 0.57 -0.06
C -0.10 -2.12 -0.62
C 1.30 0.12 -1.06
N -1.50 1.19 1.96
O -1.35 -0.13 0.19
S 2.20 1.46 -0.58
S 0.41 -0.55 0.13
H -4.02 0.09 0.64
H -3.27 1.18 -0.85
H -3.68 1.86 0.79
H 4.28 0.14 -0.97
H 3.26 -0.15 0.75
H 4.31 1.23 0.41
H 0.34 -2.82 0.10
H 0.37 -2.11 -1.59
H -1.21 -2.32 -0.60
H 0.97 -0.14 -2.07
H -0.62 0.83 2.21
*
```

natural (NBO) atomic charge list, values in e, 5 entries:
1. C 0.575
2. C -0.679
3. C -0.746
4. C -0.763
5. C -0.869



C5H11NPV | ωB97M-V/def2-TZVPD

DFT total energy: -41826.73664 eV
HOMO (spin up / spin down): -6.1 / -5.1 eV
Kohn-Sham gap (spin up / spin down): 6.2 / 5.3 eV

The geometry in ORCA input format:
```
! RIJCOSX wB97M-V def2-TZVPD def2/J DEFGRID3
* xyz 0 3
C -0.46 0.10 -1.94
C -1.29 1.11 -1.34
C -0.40 1.99 -0.65
C 0.98 1.62 -0.96
C 0.94 0.45 -1.75
V -0.07 -0.03 0.25
P -0.13 -2.20 0.64
H -0.82 -0.74 -2.54
H -2.37 1.16 -1.36
H -0.70 2.87 -0.08
H 1.79 -0.09 -2.15
H 1.87 2.15 -0.62
H 0.94 -3.06 0.23
H -1.16 -3.03 0.10
H -0.22 -2.69 1.98
N 0.23 0.07 2.29
H 1.10 -0.44 2.56
H -0.59 -0.32 2.80
H 0.34 1.07 2.56
*
```

natural (NBO) atomic charge list, values in e, 5 entries:
1. C -0.338
2. C -0.319
3. C -0.368
4. C -0.324
5. C -0.324



Repeat the third record exactly.
C5H11NPV | ωB97M-V/def2-TZVPD

DFT total energy: -41826.73664 eV
HOMO (spin up / spin down): -6.1 / -5.1 eV
Kohn-Sham gap (spin up / spin down): 6.2 / 5.3 eV

The geometry in ORCA input format:
```
! RIJCOSX wB97M-V def2-TZVPD def2/J DEFGRID3
* xyz 0 3
C -0.46 0.10 -1.94
C -1.29 1.11 -1.34
C -0.40 1.99 -0.65
C 0.98 1.62 -0.96
C 0.94 0.45 -1.75
V -0.07 -0.03 0.25
P -0.13 -2.20 0.64
H -0.82 -0.74 -2.54
H -2.37 1.16 -1.36
H -0.70 2.87 -0.08
H 1.79 -0.09 -2.15
H 1.87 2.15 -0.62
H 0.94 -3.06 0.23
H -1.16 -3.03 0.10
H -0.22 -2.69 1.98
N 0.23 0.07 2.29
H 1.10 -0.44 2.56
H -0.59 -0.32 2.80
H 0.34 1.07 2.56
*
```

natural (NBO) atomic charge list, values in e, 5 entries:
1. C -0.338
2. C -0.319
3. C -0.368
4. C -0.324
5. C -0.324



DFT total energy of number 3 (C5H11NPV)? -41826.73664 eV



Look up the DFT total energy of the third one. -41826.73664 eV



Which value of DFT total energy does entry 1 give? -19732.14562 eV

----------

Formula: C19H28CrIO2
Source: the OMol25 dataset
Level of theory: ωB97M-V/def2-TZVPD

Cartesian coordinates (Å):
1 O -0.7685 -0.1683 -1.4435
2 C -1.4514 0.6888 -2.4518
3 C -0.4950 0.2471 -3.5347
4 H -1.3407 1.7538 -2.2701
5 H -2.4930 0.4082 -2.6058
6 C -0.1968 -0.9318 -2.5711
7 H 0.2733 1.0113 -3.6076
8 H -0.7584 -0.0534 -4.5385
9 C 1.2781 -1.2747 -2.6146
10 H 1.9684 -0.4771 -2.3230
11 H 1.5178 -1.5419 -3.6651
12 H 1.4321 -2.1837 -2.0343
13 C -1.0210 -2.1874 -2.7649
14 H -2.0792 -1.9357 -2.8259
15 H -0.8328 -2.8132 -1.8952
16 H -0.7269 -2.7511 -3.6569
17 Cr -0.4619 -0.4198 2.1813
18 C -2.4496 -0.6729 3.1967
19 C -2.1470 0.7105 3.1748
20 C -2.0020 1.1221 1.8324
21 H -2.1277 1.3617 4.0403
~~~

### Request
Your job: find the line earlier on that holds "energy: -19732.14562", then print that line and all lines after it there.

### Worked solution
DFT total energy: -19732.14562 eV
HOMO: -8.7 eV
Kohn-Sham gap: 8.5 eV

The geometry in ORCA input format:
```
! RIJCOSX wB97M-V def2-TZVPD def2/J DEFGRID3
* xyz 0 1
C -2.72 -0.39 -0.63
C -0.65 0.26 -0.69
C 0.92 0.23 -0.63
C 1.65 0.71 0.70
C 1.37 -0.42 1.64
H -2.60 0.49 0.30
H -3.62 -1.13 -0.50
H -3.16 0.22 -1.59
H -1.24 -1.36 -1.77
H -0.81 0.63 0.34
H -0.86 1.00 -1.49
H 0.96 1.57 0.96
H 2.11 -1.22 1.35
H 1.41 -0.05 2.78
H 0.24 -0.87 1.31
H 3.48 0.26 0.12
N -1.39 -1.00 -0.81
O 3.03 1.21 0.52
S 1.87 -0.14 -1.91
*
```

natural (NBO) atomic charge list, values in e, 5 entries:
1. C -0.444
2. C -0.323
3. C -0.039
4. C -0.004
5. C -0.644



C5H11NOS2 | ωB97M-V/def2-TZVPD

Energy relative to the best compared isomer or geometry (same formula, charge and spin): 98.6 kcal/mol
DFT total energy: -30567.94483 eV
HOMO: -8.5 eV
Kohn-Sham gap: 9.1 eV

The geometry in ORCA input format:
```
! RIJCOSX wB97M-V def2-TZVPD def2/J DEFGRID3
* xyz 0 1
C -2.01 0.74 0.92
C -3.36 0.94 0.31
C 3.67 0.57 -0.06
C -0.10 -2.12 -0.62
C 1.30 0.12 -1.06
N -1.50 1.19 1.96
O -1.35 -0.13 0.19
S 2.20 1.46 -0.58
S 0.41 -0.55 0.13
H -4.02 0.09 0.64
H -3.27 1.18 -0.85
H -3.68 1.86 0.79
H 4.28 0.14 -0.97
H 3.26 -0.15 0.75
H 4.31 1.23 0.41
H 0.34 -2.82 0.10
H 0.37 -2.11 -1.59
H -1.21 -2.32 -0.60
H 0.97 -0.14 -2.07
H -0.62 0.83 2.21
*
```

natural (NBO) atomic charge list, values in e, 5 entries:
1. C 0.575
2. C -0.679
3. C -0.746
4. C -0.763
5. C -0.869



C5H11NPV | ωB97M-V/def2-TZVPD

DFT total energy: -41826.73664 eV
HOMO (spin up / spin down): -6.1 / -5.1 eV
Kohn-Sham gap (spin up / spin down): 6.2 / 5.3 eV

The geometry in ORCA input format:
```
! RIJCOSX wB97M-V def2-TZVPD def2/J DEFGRID3
* xyz 0 3
C -0.46 0.10 -1.94
C -1.29 1.11 -1.34
C -0.40 1.99 -0.65
C 0.98 1.62 -0.96
C 0.94 0.45 -1.75
V -0.07 -0.03 0.25
P -0.13 -2.20 0.64
H -0.82 -0.74 -2.54
H -2.37 1.16 -1.36
H -0.70 2.87 -0.08
H 1.79 -0.09 -2.15
H 1.87 2.15 -0.62
H 0.94 -3.06 0.23
H -1.16 -3.03 0.10
H -0.22 -2.69 1.98
N 0.23 0.07 2.29
H 1.10 -0.44 2.56
H -0.59 -0.32 2.80
H 0.34 1.07 2.56
*
```

natural (NBO) atomic charge list, values in e, 5 entries:
1. C -0.338
2. C -0.319
3. C -0.368
4. C -0.324
5. C -0.324



Repeat the third record exactly.
C5H11NPV | ωB97M-V/def2-TZVPD

DFT total energy: -41826.73664 eV
HOMO (spin up / spin down): -6.1 / -5.1 eV
Kohn-Sham gap (spin up / spin down): 6.2 / 5.3 eV

The geometry in ORCA input format:
```
! RIJCOSX wB97M-V def2-TZVPD def2/J DEFGRID3
* xyz 0 3
C -0.46 0.10 -1.94
C -1.29 1.11 -1.34
C -0.40 1.99 -0.65
C 0.98 1.62 -0.96
C 0.94 0.45 -1.75
V -0.07 -0.03 0.25
P -0.13 -2.20 0.64
H -0.82 -0.74 -2.54
H -2.37 1.16 -1.36
H -0.70 2.87 -0.08
H 1.79 -0.09 -2.15
H 1.87 2.15 -0.62
H 0.94 -3.06 0.23
H -1.16 -3.03 0.10
H -0.22 -2.69 1.98
N 0.23 0.07 2.29
H 1.10 -0.44 2.56
H -0.59 -0.32 2.80
H 0.34 1.07 2.56
*
```

natural (NBO) atomic charge list, values in e, 5 entries:
1. C -0.338
2. C -0.319
3. C -0.368
4. C -0.324
5. C -0.324



DFT total energy of number 3 (C5H11NPV)? -41826.73664 eV



Look up the DFT total energy of the third one. -41826.73664 eV



Which value of DFT total energy does entry 1 give? -19732.14562 eV

----------

Formula: C19H28CrIO2
Source: the OMol25 dataset
Level of theory: ωB97M-V/def2-TZVPD

Cartesian coordinates (Å):
1 O -0.7685 -0.1683 -1.4435
2 C -1.4514 0.6888 -2.4518
3 C -0.4950 0.2471 -3.5347
4 H -1.3407 1.7538 -2.2701
5 H -2.4930 0.4082 -2.6058
6 C -0.1968 -0.9318 -2.5711
7 H 0.2733 1.0113 -3.6076
8 H -0.7584 -0.0534 -4.5385
9 C 1.2781 -1.2747 -2.6146
10 H 1.9684 -0.4771 -2.3230
11 H 1.5178 -1.5419 -3.6651
12 H 1.4321 -2.1837 -2.0343
13 C -1.0210 -2.1874 -2.7649
14 H -2.0792 -1.9357 -2.8259
15 H -0.8328 -2.8132 -1.8952
16 H -0.7269 -2.7511 -3.6569
17 Cr -0.4619 -0.4198 2.1813
18 C -2.4496 -0.6729 3.1967
19 C -2.1470 0.7105 3.1748
20 C -2.0020 1.1221 1.8324
21 H -2.1277 1.3617 4.0403